Tuesday, April 14, 2009

**Inserted here: calculated crystals**
+++
No. 1
Material: CePr3Y6Ho2
Method: DFT, PBE
State: optimized geometry

Structure (CIF):
```
data_CePr3Y6Ho2
_chemical_formula_sum 'Ce2 Pr6 Y12 Ho4'
_space_group_name_H-M_alt 'C 1 2/m 1'
_space_group_IT_number 12
_space_group_name_Hall '-C 2y'
_cell_length_a 6.2461
_cell_length_b 10.8162
_cell_length_c 11.8844
_cell_angle_alpha 90.00
_cell_angle_beta 100.07
_cell_angle_gamma 90.00
loop_
_atom_site_label
_atom_site_fract_x
_atom_site_fract_y
_atom_site_fract_z
_atom_site_occupancy
Ce1 0.0000 0.0000 0.0000 1
Pr1 0.0000 0.1676 0.5000 1
Pr2 0.0000 0.5000 0.5000 1
Y1 0.2477 0.1656 0.2457 1
Y2 0.2494 0.0000 0.7541 1
Ho1 0.0000 0.3333 0.0000 1
```

No. 2
Material: CeHoPt6
Method: DFT, PBE
State: optimized geometry

Structure (CIF):
```
data_CeHoPt6
_chemical_formula_sum 'Ce1 Ho1 Pt6'
_space_group_name_H-M_alt 'P 4/m m m'
_space_group_IT_number 123
_space_group_name_Hall '-P 4 2'
_cell_length_a 4.1409
_cell_length_b 4.1409
_cell_length_c 8.2689
_cell_angle_alpha 90.00
_cell_angle_beta 90.00
_cell_angle_gamma 90.00
loop_
_atom_site_label
_atom_site_fract_x
_atom_site_fract_y
_atom_site_fract_z
_atom_site_occupancy
Ce1 0.0000 0.0000 0.0000 1
Ho1 0.0000 0.0000 0.5000 1
Pt1 0.0000 0.5000 0.2497 1
Pt2 0.5000 0.5000 0.0000 1
Pt3 0.5000 0.5000 0.5000 1
```

No. 3
Material: CeHoPt2
Method: DFT, PBE
State: optimized geometry

Structure (CIF):
```
data_CeHoPt2
_chemical_formula_sum 'Ce3 Ho3 Pt6'
_space_group_name_H-M_alt 'R -3 m'
_space_group_IT_number 166
_space_group_name_Hall '-R 3 2"'
_cell_length_a 4.0804
_cell_length_b 4.0804
_cell_length_c 20.0972
_cell_angle_alpha 90.00
_cell_angle_beta 90.00
_cell_angle_gamma 120.00
loop_
_atom_site_label
_atom_site_fract_x
_atom_site_fract_y
_atom_site_fract_z
_atom_site_occupancy
Ce1 0.0000 0.0000 0.0000 1
Ho1 0.0000 0.0000 0.5000 1
Pt1 0.0000 0.0000 0.2497 1
```

No. 4
Material: CeHo2Pt
Method: DFT, PBE
State: optimized geometry

Structure (CIF):
```
data_CeHo2Pt
_chemical_formula_sum 'Ce4 Ho8 Pt4'
_space_group_name_H-M_alt 'F m -3 m'
_space_group_IT_number 225
_space_group_name_Hall '-F 4 2 3'
_cell_length_a 7.1697
_cell_length_b 7.1697
_cell_length_c 7.1697
_cell_angle_alpha 90.00
_cell_angle_beta 90.00
_cell_angle_gamma 90.00
loop_
_atom_site_label
_atom_site_fract_x
_atom_site_fract_y
_atom_site_fract_z
_atom_site_occupancy
Ce1 0.0000 0.0000 0.0000 1
Ho1 0.2500 0.2500 0.2500 1
Pt1 0.0000 0.0000 0.5000 1
```

No. 5
Material: Ce2HoPt9
Method: DFT, PBE
State: optimized geometry

Structure (CIF):
```
data_Ce2HoPt9
_chemical_formula_sum 'Ce6 Ho3 Pt27'
_space_group_name_H-M_alt 'R -3 m'
_space_group_IT_number 166
_space_group_name_Hall '-R 3 2"'
_cell_length_a 5.4098
_cell_length_b 5.4098
_cell_length_c 26.9261
_cell_angle_alpha 90.00
_cell_angle_beta 90.00
_cell_angle_gamma 120.00
loop_
_atom_site_label
_atom_site_fract_x
_atom_site_fract_y
_atom_site_fract_z
_atom_site_occupancy
Ce1 0.0000 0.0000 0.1387 1
Ho1 0.0000 0.0000 0.0000 1
Pt1 0.0000 0.0000 0.3329 1
Pt2 0.0000 0.0000 0.5000 1
Pt3 0.0032 0.5016 0.9154 1
```
+++

Never Give Up...

Well, here's another post. Sorry it's taken so long (Natashia)...You can't just blog about anything, it has to be good, otherwise people won't want to read it anymore. So, here goes...a lesson in never giving up.
Two weekends ago, Sarah W, Natashia and I headed out on a random roadtrip. We headed for Three Hills, Alberta, a 1.5 hour drive from Calgary, plopped in the middle of nowhere (sorry to any who lives there and may be reading this). The purpose of our trip...to see the local college's performance of the musical "7 Brides for 7 Brothers", a classic movie in the minds of Natashia and I (and soon to become one for Sarah). On our way there, the three of us briefly discussed how odd it was that the school's website made no mention of being able to purchase tickets at the door (we had not purchased our tickets in advance). However, we'd made up our minds to go, and we were going. Case closed.
Upon arriving at the school we ran into another friend from Calgary who informed us that the play was in fact "sold out". BOO! Needless to say, we were crushed.
Determined to make the most of the trip, we headed to a fancy pants restaurant for some food, and during the meal decided that we were not going home without seeing the play we came for, gosh dangit.
So, loaded with millions of excuses and sob stories created over an overpriced dinner, we headed back to the college. Sarah W used her smooth talking and got us in (actually didn't have to use any of our lies, she just told the truth...let this be a lesson to all) for half price to sit at the very back. Well! We were quite pleased! But, imagine our pleasure when not 10 minutes later, the house manager lady comes over and tells us that 3 reserved seats were not going to be used, and she would move us there at the next set change! And move us she did, right into the 3rd row from the front! We were so close we got spat on by the lead singer! And all for just $5! What more could one possibly ask for!
So, the moral of the story is to never give up. Think of what we would have missed had we not simply asked for tickets, even though there were none left! A life lesson learned. End adventure.


  1. Life lesson "Never EVER give up!"- One of the best days of life!

  2. Bargain tickets in what sounds like a fun-filled day! -El.x

## These materials data were left in the entry by mistake
____________
# 1
Entry from Alexandria: a relaxed Sc2TiP crystal (PBE).

Values from the calculation:
Total moment   0.494 μB per atom
Formation energy from the elements   -242 meV/atom
Raw total energy   -6.734 eV per atom

a = 3.4186 Å, b = 3.4186 Å, c = 26.3404 Å
α = 90.00°, β = 90.00°, γ = 120.00°
Space group R-3m (No. 166, hexagonal axes)
Inequivalent atoms, fractional coordinates:
1 Sc 0.0000 0.0000 0.1068 [6 per cell]
2 Ti 0.0000 0.0000 0.0000 [3 per cell]
3 P 0.0000 0.0000 0.5000 [3 per cell]

# 2
Entry from Alexandria: a relaxed ScTi2P2 crystal (PBE).

Values from the calculation:
Total moment   0.000 μB per atom
Formation energy from the elements   -610 meV/atom
Raw total energy   -7.198 eV per atom
E above lowest polymorph   492 meV per atom

a = 4.672 Å, b = 4.672 Å, c = 8.064 Å
α = 90.00°, β = 90.00°, γ = 90.00°
Space group I4/mmm (No. 139)
Inequivalent atoms, fractional coordinates:
1 Sc 0.000 0.000 0.000 [2 per cell]
2 Ti 0.000 0.000 0.339 [4 per cell]
3 P 0.000 0.500 0.250 [4 per cell]

# 3
Entry from Alexandria: a relaxed ScTiP3 crystal (PBE).

Values from the calculation:
Total moment   0.028 μB per atom
Formation energy from the elements   539 meV/atom
Raw total energy   -5.552 eV per atom
E above lowest polymorph   701 meV per atom

a = 4.804 Å, b = 4.804 Å, c = 4.804 Å
α = 90.00°, β = 90.00°, γ = 90.00°
Space group Pm-3m (No. 221)
Inequivalent atoms, fractional coordinates:
1 Sc 0.000 0.000 0.000 [1 per cell]
2 Ti 0.500 0.500 0.500 [1 per cell]
3 P 0.000 0.000 0.500 [3 per cell]

# 4
Entry from Alexandria: a relaxed ScTi2P crystal (PBE).

Values from the calculation:
Total moment   0.210 μB per atom
Formation energy from the elements   -797 meV/atom
Raw total energy   -7.680 eV per atom

a = 3.522 Å, b = 9.995 Å, c = 7.726 Å
α = 90.00°, β = 90.00°, γ = 90.00°
Space group Cmcm (No. 63)
Inequivalent atoms, fractional coordinates:
1 Sc 0.000 0.058 0.250 [4 per cell]
2 Ti 0.000 0.357 0.047 [8 per cell]
3 P 0.000 0.232 0.750 [4 per cell]

# 5
Entry from Alexandria: a relaxed Sc2TiP crystal (PBE).

Values from the calculation:
Total moment   0.000 μB per atom
Formation energy from the elements   172 meV/atom
Raw total energy   -6.320 eV per atom

a = 3.1088 Å, b = 3.1088 Å, c = 29.9344 Å
α = 90.00°, β = 90.00°, γ = 120.00°
Space group R-3m (No. 166, hexagonal axes)
Inequivalent atoms, fractional coordinates:
1 Sc 0.0000 0.0000 0.0864 [6 per cell]
2 Ti 0.0000 0.0000 0.5000 [3 per cell]
3 P 0.0000 0.0000 0.0000 [3 per cell]

# 6
Entry from Alexandria: a relaxed ScTi2P2 crystal (PBE).

Values from the calculation:
Total moment   0.000 μB per atom
Formation energy from the elements   -1102 meV/atom
Raw total energy   -7.690 eV per atom
E above lowest polymorph   0 meV per atom

a = 6.809 Å, b = 6.809 Å, c = 3.334 Å
α = 90.00°, β = 90.00°, γ = 90.00°
Space group P4/mbm (No. 127)
Inequivalent atoms, fractional coordinates:
1 Sc 0.000 0.000 0.000 [2 per cell]
2 Ti 0.154 0.346 0.500 [4 per cell]
3 P 0.139 0.639 0.000 [4 per cell]
____________
## The materials data stop here

  3. You should always ask, even if the answer looks like a 'no' ... you never know because it could be special, reserved seating! Oh what grand weekend adventures ... what does this weekend have in store I wonder :)
